== Exercise ==
Find the line further below that holds "2.3 eV", then return that line and all lines after it there, please.

== Contents ==
<<<
1.
Molecular formula: C3CsO2
Method: DFT, the ωB97M-V functional and the def2-TZVPD basis

Computed properties:
HOMO level (spin up / spin down): -1.594 / -1.406 eV
Net charge: -1
HOMO-LUMO gap (spin up / spin down): 2.4 / 2.3 eV
ΔE to the lowest compared entry with this formula, charge and spin: 1.135 eV

Structure (XYZ):
```
6
Properties=species:S:1:pos:R:3:forces:R:3:mulliken_charge:R:1
O 0.1995 0.1400 -1.9886 2.3 -0.1 2.1 -0.386
C -0.7960 1.5781 -3.1741 -0.7 0.5 0.0 -0.467
C -1.1253 2.1580 -2.0598 -0.1 -0.4 -0.1 -0.620
O -0.6552 1.6931 -0.7956 0.3 1.7 1.0 0.180
C 0.3086 0.7390 -0.8790 -2.0 -2.5 -2.2 -0.327
Cs -0.5127 -1.8902 1.9429 0.2 0.7 -0.8 0.621
```
Forces are in eV/Å.


2.
Molecular formula: C5H7NO3
Method: DFT, the ωB97M-V functional and the def2-TZVPD basis

Computed properties:
HOMO level: -9.720 eV
HOMO-LUMO gap: 10.2 eV
ΔE to the lowest compared entry with this formula, charge and spin: 0.000 eV

Structure (XYZ):
```
16
Properties=species:S:1:pos:R:3:forces:R:3:mulliken_charge:R:1
O -1.4362 -2.3107 -0.9512 -0.1 -0.3 -0.1 -0.642
C -1.0078 -1.3220 -0.4112 -0.1 -0.2 0.3 0.268
N -0.7770 -0.1325 -1.0199 0.0 0.5 -0.3 -0.184
H -0.8103 -0.0351 -2.0217 0.0 -0.2 0.0 0.227
C -0.1402 0.8522 -0.1871 0.2 0.2 0.0 0.179
C 1.3603 0.9764 -0.4704 -0.1 0.1 0.3 0.378
O 2.1878 1.2758 0.3438 0.1 0.1 0.1 -0.564
O 1.6421 0.7391 -1.7524 0.0 -0.1 -0.7 -0.447
H 2.5946 0.8257 -1.9183 -0.1 0.1 0.3 0.370
C -0.4114 0.3431 1.2377 0.1 0.0 0.1 -0.709
H 0.4262 0.5758 1.8927 -0.1 0.1 0.0 0.337
H -1.3095 0.8145 1.6342 0.0 0.0 0.0 0.328
C -0.6300 -1.1583 1.0547 0.0 0.0 0.0 -0.409
H -1.4055 -1.5649 1.7000 0.0 -0.1 -0.1 0.326
H 0.2848 -1.7278 1.2275 0.0 0.0 0.0 0.245
H -0.5680 1.8488 -0.3584 0.1 -0.1 0.1 0.297
```
Forces are in eV/Å.


3.
Molecular formula: C30H38N4O2Sc
Method: DFT, the ωB97M-V functional and the def2-TZVPD basis

Computed properties:
HOMO level: -10.024 eV
Net charge: +1
HOMO-LUMO gap: 7.5 eV

Structure (XYZ):
```
75
Properties=species:S:1:pos:R:3:forces:R:3:mulliken_charge:R:1
Sc 0.1759 -0.2424 0.3286 -0.1 0.3 0.3 -1.133
C 1.0919 2.7255 1.5938 0.0 0.0 0.0 -1.523
N 0.9640 1.3603 2.1297 0.0 -0.1 0.0 1.770
C -0.0654 1.3307 3.2077 0.1 0.0 0.1 -1.462
C -1.4452 1.9111 2.9149 -0.1 0.1 0.1 -1.080
C -2.3390 1.1629 1.9025 0.0 0.0 0.0 -0.111
N -1.7653 -0.1232 1.5519 0.0 0.0 -0.1 0.363
C -2.3402 -1.1704 2.0320 0.1 -0.1 0.0 -0.318
C -1.7920 -2.5004 2.0742 -0.3 0.1 0.1 0.737
C -2.6462 -3.5680 2.4011 0.1 -0.1 0.0 -0.626
C -2.1521 -4.8392 2.5651 0.0 0.1 0.0 -0.895
C -0.7709 -5.0433 2.4435 0.0 -0.1 0.0 -0.552
C 0.0934 -4.0089 2.1663 -0.1 -0.1 0.0 -0.860
C -0.3991 -2.7086 1.9636 0.1 0.2 -0.2 0.257
O 0.4100 -1.7158 1.6934 0.1 -0.2 0.2 0.226
C 2.2723 1.0009 2.7850 -0.1 0.2 0.0 -1.216
C 3.0873 -0.1405 2.2031 0.1 -0.1 0.1 -0.471
C 3.3893 -0.0419 0.7110 0.0 0.0 -0.1 -1.219
N 2.3461 -0.7142 -0.0527 -0.1 0.0 -0.1 0.754
C 2.6767 -1.7502 -0.7216 -0.1 -0.2 -0.1 -0.243
C 1.8279 -2.6107 -1.5351 0.3 0.0 0.0 1.184
C 2.4923 -3.6408 -2.2202 -0.1 -0.1 -0.1 -1.132
C 1.8178 -4.5158 -3.0428 0.1 0.1 0.1 -0.862
C 0.4400 -4.3634 -3.1931 -0.1 0.0 0.0 -0.471
C -0.2440 -3.3639 -2.5321 0.1 -0.1 0.0 -0.852
C 0.4299 -2.4774 -1.6854 -0.2 0.2 0.2 0.373
O -0.2546 -1.5432 -1.0467 0.2 -0.1 -0.3 0.089
H 1.3293 3.4398 2.3921 0.0 0.0 0.0 0.364
H 0.1737 3.0365 1.1036 0.0 0.0 0.0 0.122
H 1.8772 2.7517 0.8400 0.0 0.0 0.0 0.366
H 0.3268 1.8973 4.0636 0.0 0.0 0.0 0.616
H -0.1493 0.2895 3.5238 0.0 0.0 0.0 0.504
H -1.3664 2.9650 2.6400 0.0 0.0 0.0 0.449
H -1.9511 1.9174 3.8835 0.0 -0.1 0.0 0.350
H -2.4517 1.7503 0.9934 0.0 0.0 0.0 -0.760
H -3.3451 1.0372 2.3191 0.0 0.0 0.0 0.608
H -3.3166 -1.0468 2.5156 0.0 0.0 0.0 0.300
H -3.7063 -3.3733 2.5159 0.0 0.0 0.0 0.408
H -2.8121 -5.6610 2.8001 0.0 0.0 0.0 0.412
H -0.3716 -6.0408 2.5757 0.0 0.0 0.0 0.427
H 1.1583 -4.1757 2.0825 0.0 0.0 0.0 0.465
H 2.0681 0.7763 3.8327 0.1 -0.1 0.0 0.444
H 2.8880 1.9056 2.7865 0.0 0.0 0.0 0.405
H 2.6113 -1.1019 2.4012 0.0 0.1 0.0 0.157
H 4.0329 -0.1374 2.7512 0.0 0.0 0.0 0.578
H 4.3583 -0.4971 0.4804 0.0 0.0 0.1 0.454
>>>

== Completed ==
HOMO-LUMO gap (spin up / spin down): 2.4 / 2.3 eV
ΔE to the lowest compared entry with this formula, charge and spin: 1.135 eV

Structure (XYZ):
```
6
Properties=species:S:1:pos:R:3:forces:R:3:mulliken_charge:R:1
O 0.1995 0.1400 -1.9886 2.3 -0.1 2.1 -0.386
C -0.7960 1.5781 -3.1741 -0.7 0.5 0.0 -0.467
C -1.1253 2.1580 -2.0598 -0.1 -0.4 -0.1 -0.620
O -0.6552 1.6931 -0.7956 0.3 1.7 1.0 0.180
C 0.3086 0.7390 -0.8790 -2.0 -2.5 -2.2 -0.327
Cs -0.5127 -1.8902 1.9429 0.2 0.7 -0.8 0.621
```
Forces are in eV/Å.


2.
Molecular formula: C5H7NO3
Method: DFT, the ωB97M-V functional and the def2-TZVPD basis

Computed properties:
HOMO level: -9.720 eV
HOMO-LUMO gap: 10.2 eV
ΔE to the lowest compared entry with this formula, charge and spin: 0.000 eV

Structure (XYZ):
```
16
Properties=species:S:1:pos:R:3:forces:R:3:mulliken_charge:R:1
O -1.4362 -2.3107 -0.9512 -0.1 -0.3 -0.1 -0.642
C -1.0078 -1.3220 -0.4112 -0.1 -0.2 0.3 0.268
N -0.7770 -0.1325 -1.0199 0.0 0.5 -0.3 -0.184
H -0.8103 -0.0351 -2.0217 0.0 -0.2 0.0 0.227
C -0.1402 0.8522 -0.1871 0.2 0.2 0.0 0.179
C 1.3603 0.9764 -0.4704 -0.1 0.1 0.3 0.378
O 2.1878 1.2758 0.3438 0.1 0.1 0.1 -0.564
O 1.6421 0.7391 -1.7524 0.0 -0.1 -0.7 -0.447
H 2.5946 0.8257 -1.9183 -0.1 0.1 0.3 0.370
C -0.4114 0.3431 1.2377 0.1 0.0 0.1 -0.709
H 0.4262 0.5758 1.8927 -0.1 0.1 0.0 0.337
H -1.3095 0.8145 1.6342 0.0 0.0 0.0 0.328
C -0.6300 -1.1583 1.0547 0.0 0.0 0.0 -0.409
H -1.4055 -1.5649 1.7000 0.0 -0.1 -0.1 0.326
H 0.2848 -1.7278 1.2275 0.0 0.0 0.0 0.245
H -0.5680 1.8488 -0.3584 0.1 -0.1 0.1 0.297
```
Forces are in eV/Å.


3.
Molecular formula: C30H38N4O2Sc
Method: DFT, the ωB97M-V functional and the def2-TZVPD basis

Computed properties:
HOMO level: -10.024 eV
Net charge: +1
HOMO-LUMO gap: 7.5 eV

Structure (XYZ):
```
75
Properties=species:S:1:pos:R:3:forces:R:3:mulliken_charge:R:1
Sc 0.1759 -0.2424 0.3286 -0.1 0.3 0.3 -1.133
C 1.0919 2.7255 1.5938 0.0 0.0 0.0 -1.523
N 0.9640 1.3603 2.1297 0.0 -0.1 0.0 1.770
C -0.0654 1.3307 3.2077 0.1 0.0 0.1 -1.462
C -1.4452 1.9111 2.9149 -0.1 0.1 0.1 -1.080
C -2.3390 1.1629 1.9025 0.0 0.0 0.0 -0.111
N -1.7653 -0.1232 1.5519 0.0 0.0 -0.1 0.363
C -2.3402 -1.1704 2.0320 0.1 -0.1 0.0 -0.318
C -1.7920 -2.5004 2.0742 -0.3 0.1 0.1 0.737
C -2.6462 -3.5680 2.4011 0.1 -0.1 0.0 -0.626
C -2.1521 -4.8392 2.5651 0.0 0.1 0.0 -0.895
C -0.7709 -5.0433 2.4435 0.0 -0.1 0.0 -0.552
C 0.0934 -4.0089 2.1663 -0.1 -0.1 0.0 -0.860
C -0.3991 -2.7086 1.9636 0.1 0.2 -0.2 0.257
O 0.4100 -1.7158 1.6934 0.1 -0.2 0.2 0.226
C 2.2723 1.0009 2.7850 -0.1 0.2 0.0 -1.216
C 3.0873 -0.1405 2.2031 0.1 -0.1 0.1 -0.471
C 3.3893 -0.0419 0.7110 0.0 0.0 -0.1 -1.219
N 2.3461 -0.7142 -0.0527 -0.1 0.0 -0.1 0.754
C 2.6767 -1.7502 -0.7216 -0.1 -0.2 -0.1 -0.243
C 1.8279 -2.6107 -1.5351 0.3 0.0 0.0 1.184
C 2.4923 -3.6408 -2.2202 -0.1 -0.1 -0.1 -1.132
C 1.8178 -4.5158 -3.0428 0.1 0.1 0.1 -0.862
C 0.4400 -4.3634 -3.1931 -0.1 0.0 0.0 -0.471
C -0.2440 -3.3639 -2.5321 0.1 -0.1 0.0 -0.852
C 0.4299 -2.4774 -1.6854 -0.2 0.2 0.2 0.373
O -0.2546 -1.5432 -1.0467 0.2 -0.1 -0.3 0.089
H 1.3293 3.4398 2.3921 0.0 0.0 0.0 0.364
H 0.1737 3.0365 1.1036 0.0 0.0 0.0 0.122
H 1.8772 2.7517 0.8400 0.0 0.0 0.0 0.366
H 0.3268 1.8973 4.0636 0.0 0.0 0.0 0.616
H -0.1493 0.2895 3.5238 0.0 0.0 0.0 0.504
H -1.3664 2.9650 2.6400 0.0 0.0 0.0 0.449
H -1.9511 1.9174 3.8835 0.0 -0.1 0.0 0.350
H -2.4517 1.7503 0.9934 0.0 0.0 0.0 -0.760
H -3.3451 1.0372 2.3191 0.0 0.0 0.0 0.608
H -3.3166 -1.0468 2.5156 0.0 0.0 0.0 0.300
H -3.7063 -3.3733 2.5159 0.0 0.0 0.0 0.408
H -2.8121 -5.6610 2.8001 0.0 0.0 0.0 0.412
H -0.3716 -6.0408 2.5757 0.0 0.0 0.0 0.427
H 1.1583 -4.1757 2.0825 0.0 0.0 0.0 0.465
H 2.0681 0.7763 3.8327 0.1 -0.1 0.0 0.444
H 2.8880 1.9056 2.7865 0.0 0.0 0.0 0.405
H 2.6113 -1.1019 2.4012 0.0 0.1 0.0 0.157
H 4.0329 -0.1374 2.7512 0.0 0.0 0.0 0.578
H 4.3583 -0.4971 0.4804 0.0 0.0 0.1 0.454